

The Interactive Model Construction of Higher Education and Regional Economy in North-West China

【作者】 张铭钟

【导师】 丁三青;

【作者基本信息】 中国矿业大学 , 科技与教育管理, 2008, 博士

【摘要】 如何理解高等教育在经济社会发展中的职能,以及解释区域经济增长动力源,是国内外理论界一直在研究和探讨的问题。就目前研究进展来看,国内外研究者普遍认为高等教育对区域经济发展有驱动作用,并在高等教育与区域经济互动的共性理论基础和互动实践方面有了初步的研究和认同。但专门就落后的地区高等教育与区域经济互动问题展开系统深入的研究还是非常少见。论文选取位于我国落后地区的以资源型经济为特色的西北五省(区)高等教育与区域经济互动模式构建作为研究对象,采用理论研究与实证分析相结合的方法,以及定性分析与定量分析相结合的方法,从我国西北五省(区)的一般高等教育与社会经济特征出发,运用高等教育学、教育管理学、教育经济学、区域经济学、发展经济学等学科的理论和方法为研究基础,对我国西北五省(区)不同经济时期高等教育与区域经济发展进行评析,通过对我国西北五省(区)高等教育与区域经济进行全面的统计分析,并遵循高等教育与区域经济互动效率与效益统一的基本原则,利用主成分分析模型(PCA)对现阶段西北五省(区)高等教育与区域经济互动成效关系进行了实证分析,然后采用主成分分析模型计算得出高等教育与区域经济发展的相关系数为0.61,具有明显的正相关效应,从而在较大程度上支持了本文的理论模式。在全面、系统分析了影响西北五省(区)高等教育与区域经济互动的内外因素的基础上,构建了西北五省(区)高等教育与区域经济互动模式,以及对互动模式的发展策略进行了系统分析。首先,论文构建了一个促进高等教育与区域经济互动发展的多维互动模式组合,由四个模式组成,包括多主体合作办学互动模式、实验室和工程中心技术创新合作互动模式、大学科技园区产学研合作互动模式、区域产业群资源开发合作互动模式。其次,在互动模式构建的基础上,充分考虑到高等教育的特性和自身价值观、区域经济制度的协调性对互动模式成效的影响,论文从区域互动模式宏观发展的角度提出发展策略:互动模式运行组织及制度建设、互动模式运行机制和市场建设、互动模式实践的创新体系构建,促进区域形成持续竞争优势和后发优势,最终形成区域经济增长极,以推动区域经济社会又好又快地发展。最后,论文从中观、微观层面出发,提出建立一系列保障实现互动的具体发展策略,如深化高等教育职能的拓展发展区域文化及文化产业,完善有区域特色的高等教育体系,调整区域高等教育科学合理的布局及院校定位,构建区域高校人才培养模式及建设区域高校优势学科及专业。这些互动模式虽然具有普适性,但对于少数民族众多,以及教育、科技落后的资源型经济区域——西北五省(区)来说更具有发展潜力和提升空间。

____________
[1]
CsSeBr3 | Materials Project | r²SCAN | optimized geometry; M_tot = 1.0 μB/f.u.; energy = -83.43 eV/cell; DFT formation energy = -0.85 eV/atom
1.0
5.5421 0.0000 0.0000
0.0000 5.5314 -0.0079
0.0000 0.0007 5.5350
Cs Se Br
1 1 3
direct
0.5000 0.0012 0.9894 Cs
0.0000 0.5025 0.4871 Se
0.5000 0.5016 0.4884 Br
0.0000 0.5023 0.9873 Br
0.0000 0.0024 0.4877 Br

***

[2]
PrAl2Ag | Materials Project | r²SCAN | optimized geometry; M_tot = 0.0 μB/f.u.; energy = -198.04 eV/cell; DFT formation energy = -0.45 eV/atom
1.0
-4.8939 7.9673 -1.8929
-4.8936 4.8386 -6.6069
-8.4879 3.6283 -2.4085
Pr Al Ag
3 6 3
direct
0.8581 0.8581 0.8581 Pr
0.1419 0.1419 0.1419 Pr
0.0000 0.0000 0.0000 Pr
0.4156 0.9229 0.4156 Al
0.4156 0.4156 0.9229 Al
0.9229 0.4156 0.4156 Al
0.5844 0.0771 0.5844 Al
0.5844 0.5844 0.0771 Al
0.0771 0.5844 0.5844 Al
0.6647 0.6647 0.6647 Ag
0.3353 0.3353 0.3353 Ag
0.5000 0.5000 0.5000 Ag

***

[3]
BaMgSi | Materials Project | r²SCAN | optimized geometry; M_tot = 0.0 μB/f.u.; energy = -81.46 eV/cell; DFT formation energy = -0.43 eV/atom
1.0
-0.9260 -3.0591 -3.3793
-0.8542 -3.2708 3.1949
-7.5909 2.1305 0.1515
Ba Mg Si
2 2 2
direct
0.2500 0.2500 0.1609 Ba
0.7500 0.7500 0.8391 Ba
0.2500 0.7500 0.5000 Mg
0.7500 0.2500 0.5000 Mg
0.2500 0.2500 0.7016 Si
0.7500 0.7500 0.2984 Si

***

[4]
Na5InO4 | Materials Project | r²SCAN | optimized geometry; E above lowest polymorph = 0.000 eV/atom; M_tot = 0.0 μB/f.u.; energy = -641.81 eV/cell; DFT formation energy = -1.59 eV/atom
1.0
10.5019 0.0000 0.0000
0.0000 10.6499 0.0000
0.0000 0.0000 10.7069
Na In O
40 8 32
direct
0.1032 0.1187 0.3384 Na
0.6032 0.8813 0.1616 Na
0.3968 0.6187 0.6616 Na
0.8968 0.3813 0.8384 Na
0.8968 0.8813 0.6616 Na
0.3968 0.1187 0.8384 Na
0.6032 0.3813 0.3384 Na
0.1032 0.6187 0.1616 Na
0.6426 0.8870 0.8968 Na
0.1426 0.1130 0.6032 Na
0.8574 0.3870 0.1032 Na
0.3574 0.6130 0.3968 Na
0.3574 0.1130 0.1032 Na
0.8574 0.8870 0.3968 Na
0.1426 0.6130 0.8968 Na
0.6426 0.3870 0.6032 Na
0.5956 0.6245 0.8525 Na
0.0956 0.3755 0.6475 Na
0.9044 0.1245 0.1475 Na
0.4044 0.8755 0.3525 Na
0.4044 0.3755 0.1475 Na
0.9044 0.6245 0.3525 Na
0.0956 0.8755 0.8525 Na
0.5956 0.1245 0.6475 Na
0.6668 0.1072 0.3826 Na
0.1668 0.8928 0.1174 Na
0.8332 0.6072 0.6174 Na
0.3332 0.3928 0.8826 Na
0.3332 0.8928 0.6174 Na
0.8332 0.1072 0.8826 Na
0.1668 0.3928 0.3826 Na
0.6668 0.6072 0.1174 Na
0.1319 0.8505 0.3818 Na
0.6319 0.1495 0.1182 Na
0.3681 0.3505 0.6182 Na
0.8681 0.6495 0.8818 Na
0.8681 0.1495 0.6182 Na
0.3681 0.8505 0.8818 Na
0.6319 0.6495 0.3818 Na
0.1319 0.3505 0.1182 Na
0.8848 0.3523 0.3786 In
0.3848 0.6477 0.1214 In
0.6152 0.8523 0.6214 In
0.1152 0.1477 0.8786 In
0.1152 0.6477 0.6214 In
0.6152 0.3523 0.8786 In
0.3848 0.1477 0.3786 In
0.8848 0.8523 0.1214 In
0.5114 0.7477 0.0113 O
0.0114 0.2523 0.4887 O
0.9886 0.2477 0.9887 O
0.4886 0.7523 0.5113 O
0.4886 0.2523 0.9887 O
0.9886 0.7477 0.5113 O
0.0114 0.7523 0.0113 O
0.5114 0.2477 0.4887 O
0.2380 0.5141 0.5438 O
0.7380 0.4859 0.9562 O
0.2620 0.0141 0.4562 O
0.7620 0.9859 0.0438 O
____________

【Abstract】 How to understand the functions of higher education, explained regional economic growth momentum is theoretical circles at home and abroad has been in research and examination. Determine the current general lack of higher education and regional economic interaction between the common theoretical foundation and interactive effectiveness, specifically on backward and underdeveloped areas of higher education and regional economic interaction issues system-depth study is still very rare.This thesis takes the Northwest China’s five provinces as the example, starting from the general socio-economic characteristics of the higher education, the theory and method of discipline of the higher education, education economics, economics, regional economics, development economics, etc. then applying the combining analysis methods the theoretical and empirical research, and the combination analysis method of qualitative analysis and quantitative to analyze comprehensively the statistics of the higher education and regional economic development of the five provinces in Northwest China, and studies empirically the interaction effect and the relationship between the impact factors of the higher education and regional economic by the Principal Component Analysis Model(PCA), the model validates the adaptability and contribution rates, to a greater extent, the conclusion support the theoretical model. On the base of comprehensively systematic analysis of the higher education and regional economic interaction factors of the five provinces in the northwest, the thesis constructs the interaction model of the higher education and regional economy and the running mechanism, and analyzes the developing tactics of the interaction model.Firstly, the thesis constructs four interaction model of the higher education and the regional economy in North-west China, i.e. the interaction model of laboratory and engineering center of technology innovation cooperation, the interaction model of industry cluster of resource development cooperation, the interaction model of national university technology district of enterprise, university and Research, the interaction model of running a school by Multi-body. On the basis of the interaction model of the higher education and the regional economy, the thesis forms the interaction organization, system, running mechanism, market system and innovation system of interaction model for the interaction model of the higher education and the regional economy. On the basis of the research, the thesis put up the developing strategies of interactive model for higher education and regional economy in North-west China, the developing strategies comes from the macro-aspect and the micro-aspect of higher education and regional economy interactive model. The macro-aspect includes the organization construction, system construction, mechanism construction, market system construction and innovation system construction; the micro-aspect includes the distributing of the regional higher school is adapt to the industry distribution of regional economy, the orientation of the regional colleges is unity to the service competence of regional economy, the higher education system is adapt to the regional economy development level, training mode of higher education talent is united with the need of the regional economy talent, the advantage subjects and majors of college is adapt to the regional characteristic industry, development of the function the higher education is adapt to the creation of regional culture and the culture industry. At last, the thesis puts forward a tridimensional and multi-lays interaction model of the higher education and economy, which are well service to the development of the resourceful region.

  • 【分类号】G649.2;F127;F224
  • 【被引频次】11
  • 【下载频次】2515
  • 攻读期成果

